
The hidden kingdom of the Maya. New technology reveals secrets of ancient civilization

Hidden kingdom of the Maya. New technology reveals secrets of ancient civilization

# Inserted here: calculated molecules
'''
The following is a quantum chemistry calculation of a molecular structure, CHOP3, from OMol25.

Cartesian coordinates (Å):
C: 0.20779 0.36029 -0.32202
O: -0.98470 0.30633 2.27931
P: 1.42700 -0.49466 -1.49401
P: -0.52765 -1.16414 -1.13854
P: 0.02866 -0.32022 1.45037
H: -0.15111 1.31240 -0.77511

Calculated values
**Kohn-Sham gap (alpha / beta)**: 7.09 / 7.09 eV
**LUMO level (alpha / beta)**: -2.057 / -2.058 eV
**2S+1**: 1
**Energy relative to the best compared isomer or geometry (same formula, charge and spin)**: 28.0 kcal per mole

----------

142
Properties=species:S:1:pos:R:3:forces:R:3:lowdin_spin:R:1 method="wB97M-V/def2-TZVPD" homo_ha="-0.397 / -0.397" charge=+1 mol_weight_g_mol=976.06 multiplicity=4
V -0.443191 0.212611 2.862315 -1.668 0.006 -0.652 2.8540
C 0.249817 2.809271 -0.271500 0.020 -0.449 -0.802 0.0012
F -0.082142 3.610853 0.731038 0.069 -0.036 0.032 0.0002
F -0.138745 3.338343 -1.422166 -0.013 0.068 0.225 0.0005
F 1.562396 2.636455 -0.302777 -0.038 0.019 0.282 0.0002
S -0.659398 1.162068 -0.123378 -1.114 1.459 1.478 0.0065
O -1.831460 1.457517 0.668099 0.476 -0.026 0.486 0.0175
O -0.931859 0.702840 -1.445520 0.884 -0.311 0.381 0.0054
N 0.378708 0.292436 0.950607 -0.860 0.487 -2.712 0.0116
S 1.070798 -0.757478 -0.103070 1.317 -1.329 -0.290 0.0032
O 0.229055 -1.879166 -0.399661 0.319 0.215 0.504 0.0031
O 1.727104 -0.073230 -1.176284 -0.137 0.111 0.319 -0.0026
C 2.479752 -1.450166 0.890804 -0.461 0.153 0.097 0.0003
F 3.094992 -2.338529 0.133679 -0.082 0.076 0.223 0.0001
F 3.344219 -0.513297 1.273835 -0.086 -0.076 -0.090 0.0002
F 1.982920 -2.041417 1.994329 0.124 0.054 0.007 0.0030
C -5.777644 2.638156 3.623025 0.448 0.237 0.479 0.0000
C -5.971057 1.848061 2.357097 -0.174 -0.137 -0.096 0.0000
O -4.729734 1.218091 2.018231 0.223 0.238 0.003 0.0003
H -6.610291 3.278768 3.908923 -0.258 -0.249 -0.194 0.0000
H -4.927895 3.317979 3.507033 0.015 -0.066 -0.151 0.0000
H -5.543262 1.996872 4.476899 -0.130 -0.075 -0.048 0.0000
H -6.299247 2.509500 1.550718 0.171 -0.014 -0.058 0.0000
H -6.714862 1.049946 2.436927 -0.175 0.195 0.281 0.0000
H -4.823309 0.923047 1.092755 0.052 -0.157 0.062 0.0000
C 5.381091 -3.311009 4.501091 0.284 0.111 -0.040 0.0000
C 3.902301 -3.052856 4.669346 0.226 0.271 0.552 0.0000
O 3.133138 -4.144146 4.175438 0.098 0.091 -0.216 0.0001
H 5.657546 -3.495482 3.464452 -0.101 -0.257 0.036 0.0000
H 5.704376 -4.128148 5.144214 -0.004 -0.165 -0.216 0.0000
H 5.967213 -2.436339 4.792744 -0.211 0.091 0.143 0.0000
H 3.641320 -2.103455 4.182546 -0.170 -0.134 -0.141 0.0000
H 3.711550 -2.933902 5.742130 -0.083 0.101 -0.033 0.0000
H 2.265761 -4.104636 4.584107 0.009 -0.050 0.022 0.0000
C 0.508696 -5.102658 1.560283 0.528 0.180 0.686 0.0000
C -0.479507 -5.353619 2.683509 -0.131 -0.954 -0.675 0.0000
O -0.891278 -4.120100 3.291949 -0.173 0.099 0.107 0.0007
H 0.081122 -4.405506 0.838965 0.051 -0.042 -0.095 0.0000
H 0.832558 -6.016822 1.063447 -0.320 -0.101 -0.044 0.0000
H 1.420619 -4.671157 1.984220 -0.033 0.161 -0.121 0.0000
'''

The results of mapping the Guatemalan jungle, published at the beginning of the year, caused a sensation. For they revealed the ruins of more than 60,000 buildings and other structures hidden from human sight for centuries. Now the researchers documenting the discoveries have published the results of their work, which completely changes our understanding and perception of the ancient Maya.

In February of this year, the results of mapping a 2,100-kilometer area were releasedoin square wokoł city of Tikal – a popular tourist destination in the Guatemalan jungle. The area was scanned using so-called. Lidar (Light Detection and Ranging) – a device that works on a similar principle to radar, but scans the surface from the air with light.

Thanks to this groundbreaking technology, ktora has stormed to a high place among theod tools useful to archaeologists, it is possible to see the landform without the top layer of vegetation. Researchers can from the imageow digitally remove trees and plants revealing hidden structures.

The enormity of the findings surprised scientistsow. Researchers after the obrobce photos saw hidden pyramids and massive fortresses in the jungle. Farms and canals scattered amidst theod ureaow. Roads traversing the scrub forestoin the tropics. A total of more than 60,000 buildings were countedow and other structures made by ancient Mayaow, swallowed by the jungle and hidden from view by the wspoof modern man.

PACUNAM Foundation, whichorejointed to preserve Guatemala’s natural and cultural heritage, has engaged the scientificow from all over the world to analyze the data collected through mapping. Anyway, it was at the foundation’s initiative that the scanning wok was carried outo³³ Tikal. The results of the researchers’ work were published in the „Science”.

The discoveries provide a glimpse of how the ancient Maya changed the landscape around them for more than 2,500 years – since about 1000 p.n.e. By 1500 n.e. They are also changing previous findings about May civilizationsow, their culture, agricultural practices and conflicts thatore they rolled.

– Seen as a whole, the terraces and irrigation canals, reservoirs, fortifications and dykes reveal an astonishing amount of ground modificationoin the May-madeow all over the area on a previously unimaginable scale – said Francisco Estrada-Belli of Tulane University, who was involved in the research. – Many times I picked my jaw up off the floor when looking at these paintings – added.

For him, the biggest surprise was the discovery of vast areas ofoIn wetlands filled with ditches and canals. – All those hundreds of kilometersow square of what we thought was wasteland were actually some of the most productive pol cultivated – explained Estrada-Belli.

Civilization of Mayow stretched across today’s areas of southern Mexico, Guatemala, Belize and parts of theoin western Honduras. Most of this areaow is overgrown with hard-to-reach jungle, which is why it was decided to study using Lidar. This is the largest such study in the history of Mesoamerican archaeology.

Photo. American Association for the Advancement of Science

_Attached: calculated molecules_
Model 1:
DFT (the ωB97M-V functional and the def2-TZVPD basis) results for CH2OS2 in the gas phase.

Each line ends with the natural charge from an NBO analysis.
Geometry (Å):
C1 1.13 0.41 -0.30  0.387
O1 2.26 0.65 -0.11  -0.475
S1 -1.69 -0.40 -0.12  -0.128
S2 0.07 -1.16 0.43  -0.055
H1 0.51 0.99 -0.96  0.140
H2 -2.28 -0.49 1.05  0.132

Results
* highest occupied orbital energy: -0.332 Eh
* LUMO: 0.4 eV
* SMILES: O=CSS

---

Model 2:
DFT (the ωB97M-V functional and the def2-TZVPD basis) results for a molecular structure, CH2OS2.

Each line ends with the natural charge from an NBO analysis.
Geometry (Å):
C1 -0.35 0.35 0.12  -0.121
H1 0.11 -0.92 -1.25  0.441
H2 1.21 -0.96 0.53  0.078
O1 -0.08 0.31 -1.22  -0.606
S1 0.44 -0.34 1.33  0.253
S2 -1.34 1.57 0.48  -0.045

Results
* highest occupied orbital energy: -0.322 Eh
* LUMO: -0.3 eV

---

Tell me which of them is the most stable. Sure, it is model 1.

Photo. PACUNAM/Francisco Estrada-Belli

Supportolny effort of scientistsow provided a detailedoł of quantitative data of unprecedented scope, whichore force us to reassess our understanding of May civilizationow. Based on the data collected, the researchers counted exactly 61,480 ancient structures in the study region, giving 29 structures per square kilometer. Amongod there are houses, large palaces, ceremonial centers or pyramids.

Building distributionow is not uniform. Researchers found evidence of areas thatore today we would call rural, with a lower density of buildingsow, as well as suburban areas and typically urban zones, with a very dense network of intermittentoof the buildings.

The text is interrupted by records of molecules.
9
Properties=species:S:1:pos:R:3:forces:R:3:mulliken_charge:R:1 method="wB97M-V/def2-TZVPD" e_lumo_ev=0.5 homo_lumo_gap_ev=9.3 e_above_lowest_ev=3.077
C 0.745 0.796 -0.197 -0.3651 -2.8579 0.7339 0.101
H -1.917 -0.962 1.000 0.1134 -0.0703 0.3540 0.177
H -1.181 1.535 0.113 0.0074 0.8811 -0.0624 0.251
H 1.106 1.766 -0.188 0.6052 1.8300 -0.2435 0.345
H 0.429 -1.638 -0.155 1.1821 0.4066 0.1265 0.281
N -0.648 0.714 -0.035 0.3704 -1.2072 -0.1540 -0.275
N 1.671 -0.100 -0.202 -0.5603 1.0221 -0.1180 -0.314
O 1.408 -1.450 -0.070 -1.3930 -0.2001 -0.1916 -0.305
S -1.612 -0.661 -0.265 0.0400 0.1957 -0.4449 -0.261


# 1
10
Properties=species:S:1:pos:R:3 method="wB97M-V/def2-TZVPD" de_lowest_kcal_mol=58.9 homo_lumo_gap_ev=9.19 total_charge=0 smiles="Nc1noc(=O)[nH]1"
N 0.949 -1.510 -0.405
C 0.406 -0.304 -0.042
N 1.205 0.726 0.036
O 0.467 1.782 0.533
C -0.998 1.584 0.388
O -1.892 2.209 0.876
N -0.905 -0.029 0.207
H 0.414 -2.270 -0.787
H 1.923 -1.452 -0.677
H -1.568 -0.737 -0.130



# 2
10
Properties=species:S:1:pos:R:3 method="wB97M-V/def2-TZVPD" de_lowest_kcal_mol=100.0 homo_lumo_gap_ev=10.82 total_charge=0 smiles="Cn1onnc1=O"
C 1.276 -0.679 0.010
N -0.157 -0.127 -0.012
O -1.294 -1.025 -0.049
N -2.332 -0.186 0.028
N -2.060 1.014 0.002
C -0.510 1.159 -0.045
O 0.271 2.079 0.001
H 1.870 0.278 0.046
H 1.394 -1.345 0.899
H 1.541 -1.168 -0.882



# 3
10
Properties=species:S:1:pos:R:3 method="wB97M-V/def2-TZVPD" de_lowest_kcal_mol=121.8 homo_lumo_gap_ev="6.54 / 7.91" total_charge=0 multiplicity=3
C 2.276 -0.189 -0.368
C -1.398 -0.514 0.177
N -0.520 -1.232 -0.075
N 1.500 0.611 -0.042
N -1.873 0.728 0.050
O 1.121 1.749 0.156
O 0.228 -2.189 -0.036
H 2.773 -1.098 -0.696
H -1.252 1.373 0.575
H -2.855 0.761 0.260



# 4
11
Properties=species:S:1:pos:R:3 method="wB97M-V/def2-TZVPD" de_lowest_kcal_mol=105.4 homo_lumo_gap_ev=8.72 total_charge=0 smiles="[H]/N=c1/[nH]n(O)c(=S)o1"
H 2.404 -2.120 -0.201
N 2.283 -1.057 -0.314
C 1.134 -0.556 0.072
N 0.697 0.724 0.330
N -0.611 0.746 -0.499
O -1.391 1.907 -0.150
C -1.112 -0.515 -0.302
S -2.623 -1.261 -0.018
O -0.081 -1.368 0.097
H 1.365 1.748 0.390
H -2.066 1.752 0.595



What did the fourth record say?
11
Properties=species:S:1:pos:R:3 method="wB97M-V/def2-TZVPD" de_lowest_kcal_mol=105.4 homo_lumo_gap_ev=8.72 total_charge=0 smiles="[H]/N=c1/[nH]n(O)c(=S)o1"
H 2.404 -2.120 -0.201
N 2.283 -1.057 -0.314
C 1.134 -0.556 0.072
N 0.697 0.724 0.330
N -0.611 0.746 -0.499
O -1.391 1.907 -0.150
C -1.112 -0.515 -0.302
S -2.623 -1.261 -0.018
O -0.081 -1.368 0.097
H 1.365 1.748 0.390
H -2.066 1.752 0.595


Density functional theory data (ωB97M-V/def2-TZVPD) for a molecular structure, C37H68BFeN12OPS at a distorted geometry.

Results
Total energy: -4211.09347 Ha
Largest force on an atom: 1.03 eV/A
LUMO energy (alpha / beta): -1.5 / -3.1 eV
Orbital gap (alpha / beta): 9.0 / 7.3 eV
ΔE to the lowest compared entry with this formula, charge and spin: 0.00 kJ/mol
Total charge: +1
Spin multiplicity: 6

Cartesian coordinates (Å):
Fe1 -0.227 0.369 -0.428

They also estimated that the study area was inhabited between 7 and 11 millionoin people. This makes 80 to 120 osob per square kilometer. – When the mowih a population several times larger than previously estimated, one must consider how these people fed, how they coped with overpopulation? – said Thomas Garrison, an archaeologist at Ithaca College and wspoauthor of the publication.

But the Lidar data helped establish this point as well. This population fed on agricultural products, ktore cultivated on 362 square kilometers of terraceow or otherwise modified terrainoin agricultural. In addition, the researchers identified unmodified land for cultivation, perhaps something like a beetleoin, whichorych area resultsosal 952 kilometersoin square. This shows extensive modification of the landscape for intensive agriculture, ktore was necessary to feed such a large population for many centuries. The irregular distribution of pol of cultivated land suggests the existence of a regional agricultural economy of great complexity.

The new findings also point to a vast network of Drog, ktora connected distant cities and towns. Someore of these drog were heavily fortified, and their total length exceeded 100 km.

Interestingly, as Estrada-Belli noted, all these discoveries were made in just a few minutes of Lidar work. Without the technology, it would have taken years or decades of work. – The power of Lidar caught my imagination, but transferring it to the world of fieldwork yielded stunning results – Garrison pointed out.

Another interesting fact is that after creating a map of the area with the remains of buildings plotted on itow, it turned out that several archaeologistsow conducted research right next to unknown structures and did not notice them. – I couldn’t believe I had overlooked a road running right by me. I immediately went there again, and indeed, here it is – mentioned Marcello Canuto, an archaeologist at Tulane University. Garrison, on the other hand, conducted research around 30 metersow from a large fortress hidden under foliage and also overlooked it.

Sourceobackground: Tulane University, New York Times, fot. Simon Burchell/ Wikimedia Commons/ CC BY-SA 3.0